**File:**
........
Record 1
## La4B4I5 (PBE)

Data for a relaxed La4B4I5 crystal.

Computed properties:
electronic total energy: -68.87 eV per cell
ΔE_f: -1.284 eV/atom
crystal system: monoclinic

Cell and atoms, written as CIF:
```
data_La4B4I5
_space_group_name_H-M_alt 'P 1'
_space_group_IT_number 1
_cell_length_a 9.998
_cell_length_b 9.998
_cell_length_c 10.455
_cell_angle_alpha 72.07
_cell_angle_beta 72.07
_cell_angle_gamma 25.19
loop_
_space_group_symop_operation_xyz
'x,y,z'
loop_
_atom_site_label
_atom_site_type_symbol
_atom_site_fract_x
_atom_site_fract_y
_atom_site_fract_z
La1 La 0.490 0.490 0.250
La2 La 0.865 0.865 0.067
La3 La 0.510 0.510 0.749
La4 La 0.135 0.135 0.933
B1 B 0.316 0.684 0.000
B2 B 0.684 0.316 0.000
B3 B 0.997 0.997 0.095
B4 B 0.003 0.003 0.905
I1 I 0.687 0.687 0.681
I2 I 0.314 0.314 0.320
I3 I 0.014 0.014 0.491
I4 I 0.330 0.330 0.851
I5 I 0.671 0.671 0.148
```


Record 2
## CrMoAs2 (PBE)

Data for a relaxed CrMoAs2 crystal.

Computed properties:
electronic total energy: -61.10 eV per cell
ΔE_f: -0.184 eV/atom
crystal system: orthorhombic

Cell and atoms, written as CIF:
```
data_CrMoAs2
_space_group_name_H-M_alt 'P 1'
_space_group_IT_number 1
_cell_length_a 3.406
_cell_length_b 5.905
_cell_length_c 6.364
_cell_angle_alpha 90.00
_cell_angle_beta 90.00
_cell_angle_gamma 90.00
loop_
_space_group_symop_operation_xyz
'x,y,z'
loop_
_atom_site_label
_atom_site_type_symbol
_atom_site_fract_x
_atom_site_fract_y
_atom_site_fract_z
Mo1 Mo 0.500 0.995 0.944
Mo2 Mo 0.500 0.495 0.056
Cr1 Cr 0.000 0.505 0.437
Cr2 Cr 0.000 0.005 0.563
As1 As 0.000 0.194 0.188
As2 As 0.500 0.806 0.332
As3 As 0.500 0.306 0.668
As4 As 0.000 0.694 0.812
```


Record 3
## K2BP2O8 (PBE)

Data for a relaxed K2BP2O8 crystal.

Computed properties:
electronic total energy: -175.18 eV per cell
ΔE_f: -2.598 eV/atom
crystal system: tetragonal

Cell and atoms, written as CIF:
```
data_K2BP2O8
_space_group_name_H-M_alt 'P 1'
_space_group_IT_number 1
_cell_length_a 8.979
_cell_length_b 8.979
_cell_length_c 8.979
_cell_angle_alpha 131.73
_cell_angle_beta 131.73
_cell_angle_gamma 70.65
loop_
_space_group_symop_operation_xyz
'x,y,z'
loop_
_atom_site_label
_atom_site_type_symbol
_atom_site_fract_x
_atom_site_fract_y
_atom_site_fract_z
O1 O 0.100 0.936 0.379
O2 O 0.861 0.206 0.678
O3 O 0.889 0.067 0.845
O4 O 0.933 0.779 0.822
O5 O 0.650 0.529 0.336
O6 O 0.686 0.350 0.879
O7 O 0.557 0.721 0.621
O8 O 0.064 0.443 0.164
O9 O 0.794 0.471 0.655
O10 O 0.471 0.807 0.121
O11 O 0.279 0.900 0.836
O12 O 0.529 0.183 0.322
O13 O 0.193 0.314 0.664
O14 O 0.817 0.139 0.345
O15 O 0.221 0.044 0.155
O16 O 0.956 0.111 0.178
K1 K 0.375 0.487 0.612
K2 K 0.237 0.625 0.112
K3 K 0.875 0.763 0.388
K4 K 0.513 0.125 0.888
P1 P 0.375 0.973 0.098
P2 P 0.027 0.125 0.402
P3 P 0.875 0.277 0.902
P4 P 0.723 0.625 0.598
B1 B 0.750 0.250 0.500
B2 B 0.000 0.000 0.000
```


Record 4
## KFeCl4 (PBE)

Data for a relaxed KFeCl4 crystal.

Computed properties:
electronic total energy: -97.34 eV per cell
ΔE_f: -1.636 eV/atom
crystal system: monoclinic

Cell and atoms, written as CIF:
```
data_KFeCl4
_space_group_name_H-M_alt 'P 1'
_space_group_IT_number 1
_cell_length_a 10.740
_cell_length_b 7.435
_cell_length_c 9.537
_cell_angle_alpha 85.76
_cell_angle_beta 90.00
_cell_angle_gamma 90.00
loop_
_space_group_symop_operation_xyz
'x,y,z'
loop_
_atom_site_label
_atom_site_type_symbol
_atom_site_fract_x
_atom_site_fract_y
_atom_site_fract_z
K1 K 0.085 0.427 0.053
K2 K 0.585 0.573 0.947
K3 K 0.195 0.936 0.556
K4 K 0.695 0.064 0.444
Cl1 Cl 0.516 0.946 0.180
Cl2 Cl 0.357 0.275 0.942
Cl3 Cl 0.107 0.535 0.704
Cl4 Cl 0.470 0.709 0.574
Cl5 Cl 0.273 0.544 0.310
Cl6 Cl 0.813 0.208 0.080
Cl7 Cl 0.428 0.224 0.558
Cl8 Cl 0.928 0.776 0.442
Cl9 Cl 0.016 0.054 0.820
Cl10 Cl 0.682 0.970 0.794
Cl11 Cl 0.970 0.291 0.426
Cl12 Cl 0.773 0.456 0.690
Cl13 Cl 0.313 0.792 0.920
Cl14 Cl 0.857 0.725 0.058
Cl15 Cl 0.607 0.465 0.296
Cl16 Cl 0.182 0.030 0.206
Fe1 Fe 0.443 0.488 0.433
Fe2 Fe 0.843 0.990 0.936
Fe3 Fe 0.943 0.512 0.567
........
**Activity:**
Return everything further above without additions.
**Reply:**
Record 1
## La4B4I5 (PBE)

Data for a relaxed La4B4I5 crystal.

Computed properties:
electronic total energy: -68.87 eV per cell
ΔE_f: -1.284 eV/atom
crystal system: monoclinic

Cell and atoms, written as CIF:
```
data_La4B4I5
_space_group_name_H-M_alt 'P 1'
_space_group_IT_number 1
_cell_length_a 9.998
_cell_length_b 9.998
_cell_length_c 10.455
_cell_angle_alpha 72.07
_cell_angle_beta 72.07
_cell_angle_gamma 25.19
loop_
_space_group_symop_operation_xyz
'x,y,z'
loop_
_atom_site_label
_atom_site_type_symbol
_atom_site_fract_x
_atom_site_fract_y
_atom_site_fract_z
La1 La 0.490 0.490 0.250
La2 La 0.865 0.865 0.067
La3 La 0.510 0.510 0.749
La4 La 0.135 0.135 0.933
B1 B 0.316 0.684 0.000
B2 B 0.684 0.316 0.000
B3 B 0.997 0.997 0.095
B4 B 0.003 0.003 0.905
I1 I 0.687 0.687 0.681
I2 I 0.314 0.314 0.320
I3 I 0.014 0.014 0.491
I4 I 0.330 0.330 0.851
I5 I 0.671 0.671 0.148
```


Record 2
## CrMoAs2 (PBE)

Data for a relaxed CrMoAs2 crystal.

Computed properties:
electronic total energy: -61.10 eV per cell
ΔE_f: -0.184 eV/atom
crystal system: orthorhombic

Cell and atoms, written as CIF:
```
data_CrMoAs2
_space_group_name_H-M_alt 'P 1'
_space_group_IT_number 1
_cell_length_a 3.406
_cell_length_b 5.905
_cell_length_c 6.364
_cell_angle_alpha 90.00
_cell_angle_beta 90.00
_cell_angle_gamma 90.00
loop_
_space_group_symop_operation_xyz
'x,y,z'
loop_
_atom_site_label
_atom_site_type_symbol
_atom_site_fract_x
_atom_site_fract_y
_atom_site_fract_z
Mo1 Mo 0.500 0.995 0.944
Mo2 Mo 0.500 0.495 0.056
Cr1 Cr 0.000 0.505 0.437
Cr2 Cr 0.000 0.005 0.563
As1 As 0.000 0.194 0.188
As2 As 0.500 0.806 0.332
As3 As 0.500 0.306 0.668
As4 As 0.000 0.694 0.812
```


Record 3
## K2BP2O8 (PBE)

Data for a relaxed K2BP2O8 crystal.

Computed properties:
electronic total energy: -175.18 eV per cell
ΔE_f: -2.598 eV/atom
crystal system: tetragonal

Cell and atoms, written as CIF:
```
data_K2BP2O8
_space_group_name_H-M_alt 'P 1'
_space_group_IT_number 1
_cell_length_a 8.979
_cell_length_b 8.979
_cell_length_c 8.979
_cell_angle_alpha 131.73
_cell_angle_beta 131.73
_cell_angle_gamma 70.65
loop_
_space_group_symop_operation_xyz
'x,y,z'
loop_
_atom_site_label
_atom_site_type_symbol
_atom_site_fract_x
_atom_site_fract_y
_atom_site_fract_z
O1 O 0.100 0.936 0.379
O2 O 0.861 0.206 0.678
O3 O 0.889 0.067 0.845
O4 O 0.933 0.779 0.822
O5 O 0.650 0.529 0.336
O6 O 0.686 0.350 0.879
O7 O 0.557 0.721 0.621
O8 O 0.064 0.443 0.164
O9 O 0.794 0.471 0.655
O10 O 0.471 0.807 0.121
O11 O 0.279 0.900 0.836
O12 O 0.529 0.183 0.322
O13 O 0.193 0.314 0.664
O14 O 0.817 0.139 0.345
O15 O 0.221 0.044 0.155
O16 O 0.956 0.111 0.178
K1 K 0.375 0.487 0.612
K2 K 0.237 0.625 0.112
K3 K 0.875 0.763 0.388
K4 K 0.513 0.125 0.888
P1 P 0.375 0.973 0.098
P2 P 0.027 0.125 0.402
P3 P 0.875 0.277 0.902
P4 P 0.723 0.625 0.598
B1 B 0.750 0.250 0.500
B2 B 0.000 0.000 0.000
```


Record 4
## KFeCl4 (PBE)

Data for a relaxed KFeCl4 crystal.

Computed properties:
electronic total energy: -97.34 eV per cell
ΔE_f: -1.636 eV/atom
crystal system: monoclinic

Cell and atoms, written as CIF:
```
data_KFeCl4
_space_group_name_H-M_alt 'P 1'
_space_group_IT_number 1
_cell_length_a 10.740
_cell_length_b 7.435
_cell_length_c 9.537
_cell_angle_alpha 85.76
_cell_angle_beta 90.00
_cell_angle_gamma 90.00
loop_
_space_group_symop_operation_xyz
'x,y,z'
loop_
_atom_site_label
_atom_site_type_symbol
_atom_site_fract_x
_atom_site_fract_y
_atom_site_fract_z
K1 K 0.085 0.427 0.053
K2 K 0.585 0.573 0.947
K3 K 0.195 0.936 0.556
K4 K 0.695 0.064 0.444
Cl1 Cl 0.516 0.946 0.180
Cl2 Cl 0.357 0.275 0.942
Cl3 Cl 0.107 0.535 0.704
Cl4 Cl 0.470 0.709 0.574
Cl5 Cl 0.273 0.544 0.310
Cl6 Cl 0.813 0.208 0.080
Cl7 Cl 0.428 0.224 0.558
Cl8 Cl 0.928 0.776 0.442
Cl9 Cl 0.016 0.054 0.820
Cl10 Cl 0.682 0.970 0.794
Cl11 Cl 0.970 0.291 0.426
Cl12 Cl 0.773 0.456 0.690
Cl13 Cl 0.313 0.792 0.920
Cl14 Cl 0.857 0.725 0.058
Cl15 Cl 0.607 0.465 0.296
Cl16 Cl 0.182 0.030 0.206
Fe1 Fe 0.443 0.488 0.433
Fe2 Fe 0.843 0.990 0.936
Fe3 Fe 0.943 0.512 0.567